Please repeat the whole of the contents below exactly.

........
Record 1
This record from Materials Project describes an optimized crystal structure of Li2CoO3. The functional is GGA+U.

DFT total energy	-0.200	Ha/atom
energy with MP2020 corrections	-145.1	eV per cell
calculated formation energy	-1.75	eV/atom

Cell: 5.0690 8.4608 5.1317 Å, 89.59 68.76 90.52°
With the nearest neighbours (Å) after each atom.
Fractional positions:
Li1 0.9994 0.3345 0.9937  6 O 2.00-2.19
Li2 0.0000 0.1729 0.4992  5 O 2.03-2.27
O1 0.2418 0.0156 0.2210  2 Co 1.86-1.95, 1 Li 2.03
Co1 0.0013 0.6626 0.0107  4 O 1.78-1.96
Li3 0.4960 0.6681 0.4969  6 O 2.00-2.19
Li4 0.0034 0.4983 0.5032  6 O 2.00-2.19
O2 0.2627 0.6533 0.2312  2 Co 1.88-2.03, 2 Li 2.00
Co2 0.9972 0.0053 0.0029  6 O 1.85-1.95
Co3 0.4987 0.5041 0.9898  4 O 1.78-1.97
O3 0.2967 0.3347 0.2158  2 Co 1.88-1.93, 1 Li 2.08
O4 0.7717 0.5156 0.2318  1 Co 1.78
O5 0.7276 0.6509 0.7683  1 Co 1.78
O6 0.2585 0.1513 0.7788  2 Co 1.86-1.95, 1 Li 2.03
Co4 0.5032 0.1615 0.9968  6 O 1.85-1.95
O7 0.2036 0.8320 0.7843  2 Co 1.88-1.92, 1 Li 2.08
Li5 0.5002 0.9937 0.5006  5 O 2.03-2.27
O8 0.7544 0.0136 0.7830  2 Co 1.85-1.95, 2 Li 2.03-2.05
O9 0.2367 0.5134 0.7695  2 Co 1.88-2.03, 2 Li 2.00
Li6 0.5023 0.3357 0.5008  6 O 2.05-2.19
O10 0.7206 0.3297 0.7682  2 Co 1.90-1.97, 4 Li 2.05-2.13
Li7 0.9982 0.8312 0.4993  6 O 2.05-2.19
Li8 0.5000 0.8321 0.0059  6 O 2.00-2.19
O11 0.7458 0.1530 0.2168  2 Co 1.85-1.95, 2 Li 2.03-2.05
O12 0.7799 0.8369 0.2316  2 Co 1.91-1.96, 4 Li 2.05-2.13

---

Record 2
This record from Materials Project describes an optimized crystal structure of Li2CoO3. The functional is GGA+U.

DFT total energy	-0.195	Ha/atom
energy with MP2020 corrections	-142.3	eV per cell
calculated formation energy	-1.63	eV/atom

Cell: 3.2905 8.2041 9.6969 Å, 90.00 90.00 90.00°
With the nearest neighbours (Å) after each atom.
Fractional positions:
O1 0.5000 0.3408 0.9148  1 Co 1.72
Li1 0.0000 0.9078 0.3900  4 O 1.97-2.08
O2 0.0000 0.4017 0.5905  2 Co 1.86-1.89, 2 Li 2.02
O3 0.0000 0.1592 0.4148  1 Co 1.72
O4 0.0000 0.3821 0.2231  1 Co 1.73
Co1 0.5000 0.1322 0.9014  4 O 1.72-1.89
Li2 0.5000 0.5922 0.8900  4 O 1.97-2.08
O5 0.5000 0.8821 0.2769  1 Co 1.73
O6 0.0000 0.6179 0.7769  1 Co 1.73
Li3 0.0000 0.1444 0.2042  4 O 1.96-2.05
Co2 0.0000 0.3678 0.4014  4 O 1.72-1.89
Li4 0.5000 0.6444 0.2958  4 O 1.96-2.05
Co3 0.5000 0.8678 0.0986  4 O 1.72-1.89
Li5 0.5000 0.4078 0.1100  4 O 1.97-2.08
Co4 0.0000 0.6322 0.5986  4 O 1.72-1.89
Li6 0.0000 0.8556 0.7958  4 O 1.96-2.05
O7 0.5000 0.1179 0.7231  1 Co 1.73
O8 0.0000 0.8408 0.5852  1 Co 1.72
Li7 0.5000 0.3556 0.7042  4 O 1.96-2.05
O9 0.0000 0.5983 0.4095  2 Co 1.86-1.89, 2 Li 2.02
O10 0.5000 0.9017 0.9095  2 Co 1.86-1.89, 2 Li 2.02
Li8 0.0000 0.0922 0.6100  4 O 1.97-2.08
O11 0.5000 0.6592 0.0852  1 Co 1.72
O12 0.5000 0.0983 0.0905  2 Co 1.86-1.89, 2 Li 2.02

---

> Which of these has the highest calculated formation energy?

number 2

---

> Which of these has the highest calculated formation energy?

number 2

----------

Record 1
# PBE Zn6Sb5, relaxed
data_Zn6Sb5
_cell_length_a 12.2861
_cell_length_b 12.2861
_cell_length_c 12.4474
_cell_angle_alpha 90.00
_cell_angle_beta 90.00
_cell_angle_gamma 120.00
_symmetry_space_group_name_H-M 'R -3 c'
_symmetry_Int_Tables_number 167
_symmetry_space_group_name_Hall '-R 3 2"c'
loop_
_atom_site_label
_atom_site_type_symbol
_atom_site_fract_x
_atom_site_fract_y
_atom_site_fract_z
_atom_site_occupancy
Zn1 Zn 0.0793 0.2436 0.4031 1
Sb1 Sb 0.0000 0.0000 0.1359 1
Sb2 Sb 0.0000 0.3555 0.2500 1
# - energy relative to the elements (eV per atom) = -0.091
# - ΔE to the lowest computed polymorph (meV/atom) = 0
# - MP2020-corrected energy (eV per cell) = -175.20

Record 2
# PBE ZnSb2, relaxed
data_ZnSb2
_cell_length_a 6.9268
_cell_length_b 6.9268
_cell_length_c 3.2211
_cell_angle_alpha 90.00
_cell_angle_beta 90.00
_cell_angle_gamma 90.00
_symmetry_space_group_name_H-M 'P -4 n 2'
_symmetry_Int_Tables_number 118
loop_
_symmetry_equiv_pos_as_xyz
'x,y,z'
'y,-x,-z'
'-x,-y,z'
'-y,x,-z'
'-x+1/2,y+1/2,z+1/2'
........

Record 1
This record from Materials Project describes an optimized crystal structure of Li2CoO3. The functional is GGA+U.

DFT total energy	-0.200	Ha/atom
energy with MP2020 corrections	-145.1	eV per cell
calculated formation energy	-1.75	eV/atom

Cell: 5.0690 8.4608 5.1317 Å, 89.59 68.76 90.52°
With the nearest neighbours (Å) after each atom.
Fractional positions:
Li1 0.9994 0.3345 0.9937  6 O 2.00-2.19
Li2 0.0000 0.1729 0.4992  5 O 2.03-2.27
O1 0.2418 0.0156 0.2210  2 Co 1.86-1.95, 1 Li 2.03
Co1 0.0013 0.6626 0.0107  4 O 1.78-1.96
Li3 0.4960 0.6681 0.4969  6 O 2.00-2.19
Li4 0.0034 0.4983 0.5032  6 O 2.00-2.19
O2 0.2627 0.6533 0.2312  2 Co 1.88-2.03, 2 Li 2.00
Co2 0.9972 0.0053 0.0029  6 O 1.85-1.95
Co3 0.4987 0.5041 0.9898  4 O 1.78-1.97
O3 0.2967 0.3347 0.2158  2 Co 1.88-1.93, 1 Li 2.08
O4 0.7717 0.5156 0.2318  1 Co 1.78
O5 0.7276 0.6509 0.7683  1 Co 1.78
O6 0.2585 0.1513 0.7788  2 Co 1.86-1.95, 1 Li 2.03
Co4 0.5032 0.1615 0.9968  6 O 1.85-1.95
O7 0.2036 0.8320 0.7843  2 Co 1.88-1.92, 1 Li 2.08
Li5 0.5002 0.9937 0.5006  5 O 2.03-2.27
O8 0.7544 0.0136 0.7830  2 Co 1.85-1.95, 2 Li 2.03-2.05
O9 0.2367 0.5134 0.7695  2 Co 1.88-2.03, 2 Li 2.00
Li6 0.5023 0.3357 0.5008  6 O 2.05-2.19
O10 0.7206 0.3297 0.7682  2 Co 1.90-1.97, 4 Li 2.05-2.13
Li7 0.9982 0.8312 0.4993  6 O 2.05-2.19
Li8 0.5000 0.8321 0.0059  6 O 2.00-2.19
O11 0.7458 0.1530 0.2168  2 Co 1.85-1.95, 2 Li 2.03-2.05
O12 0.7799 0.8369 0.2316  2 Co 1.91-1.96, 4 Li 2.05-2.13

---

Record 2
This record from Materials Project describes an optimized crystal structure of Li2CoO3. The functional is GGA+U.

DFT total energy	-0.195	Ha/atom
energy with MP2020 corrections	-142.3	eV per cell
calculated formation energy	-1.63	eV/atom

Cell: 3.2905 8.2041 9.6969 Å, 90.00 90.00 90.00°
With the nearest neighbours (Å) after each atom.
Fractional positions:
O1 0.5000 0.3408 0.9148  1 Co 1.72
Li1 0.0000 0.9078 0.3900  4 O 1.97-2.08
O2 0.0000 0.4017 0.5905  2 Co 1.86-1.89, 2 Li 2.02
O3 0.0000 0.1592 0.4148  1 Co 1.72
O4 0.0000 0.3821 0.2231  1 Co 1.73
Co1 0.5000 0.1322 0.9014  4 O 1.72-1.89
Li2 0.5000 0.5922 0.8900  4 O 1.97-2.08
O5 0.5000 0.8821 0.2769  1 Co 1.73
O6 0.0000 0.6179 0.7769  1 Co 1.73
Li3 0.0000 0.1444 0.2042  4 O 1.96-2.05
Co2 0.0000 0.3678 0.4014  4 O 1.72-1.89
Li4 0.5000 0.6444 0.2958  4 O 1.96-2.05
Co3 0.5000 0.8678 0.0986  4 O 1.72-1.89
Li5 0.5000 0.4078 0.1100  4 O 1.97-2.08
Co4 0.0000 0.6322 0.5986  4 O 1.72-1.89
Li6 0.0000 0.8556 0.7958  4 O 1.96-2.05
O7 0.5000 0.1179 0.7231  1 Co 1.73
O8 0.0000 0.8408 0.5852  1 Co 1.72
Li7 0.5000 0.3556 0.7042  4 O 1.96-2.05
O9 0.0000 0.5983 0.4095  2 Co 1.86-1.89, 2 Li 2.02
O10 0.5000 0.9017 0.9095  2 Co 1.86-1.89, 2 Li 2.02
Li8 0.0000 0.0922 0.6100  4 O 1.97-2.08
O11 0.5000 0.6592 0.0852  1 Co 1.72
O12 0.5000 0.0983 0.0905  2 Co 1.86-1.89, 2 Li 2.02

---

> Which of these has the highest calculated formation energy?

number 2

---

> Which of these has the highest calculated formation energy?

number 2

----------

Record 1
# PBE Zn6Sb5, relaxed
data_Zn6Sb5
_cell_length_a 12.2861
_cell_length_b 12.2861
_cell_length_c 12.4474
_cell_angle_alpha 90.00
_cell_angle_beta 90.00
_cell_angle_gamma 120.00
_symmetry_space_group_name_H-M 'R -3 c'
_symmetry_Int_Tables_number 167
_symmetry_space_group_name_Hall '-R 3 2"c'
loop_
_atom_site_label
_atom_site_type_symbol
_atom_site_fract_x
_atom_site_fract_y
_atom_site_fract_z
_atom_site_occupancy
Zn1 Zn 0.0793 0.2436 0.4031 1
Sb1 Sb 0.0000 0.0000 0.1359 1
Sb2 Sb 0.0000 0.3555 0.2500 1
# - energy relative to the elements (eV per atom) = -0.091
# - ΔE to the lowest computed polymorph (meV/atom) = 0
# - MP2020-corrected energy (eV per cell) = -175.20

Record 2
# PBE ZnSb2, relaxed
data_ZnSb2
_cell_length_a 6.9268
_cell_length_b 6.9268
_cell_length_c 3.2211
_cell_angle_alpha 90.00
_cell_angle_beta 90.00
_cell_angle_gamma 90.00
_symmetry_space_group_name_H-M 'P -4 n 2'
_symmetry_Int_Tables_number 118
loop_
_symmetry_equiv_pos_as_xyz
'x,y,z'
'y,-x,-z'
'-x,-y,z'
'-y,x,-z'
'-x+1/2,y+1/2,z+1/2'